Daily Update (LG Nest) Friday June 18,2010

Webcam still down; let's see what the morrow brings...

  • Hi Foxtail: Youngest tucking in and Oldest I think. Till the one stands up I can't be sure  :)


    And good moringing all.

  • Unknown said:

    Medium sized fish delivered. What number fish please?

    not a clue, the webcams only been back on for an hour...


    judging by the lack of enthuasim from on of the chicks though, it's not the first of the day

  • Titch and what I think is Chick #1 feeding. Chick #2 (?) not very interested yet and still lolloping around in the camera end of the nest. Odin still here.

  • oops forgot to say

    Thank you for letting me join this forum!

These molecular data were left in the piece by mistake.
{"formula": "C16H39AsF9N3O5Sr", "method": "ωB97M-V with the def2-TZVPD basis set", "symbols": ["Sr", "C", "O", "O", "C", "F", "F", "F", "C", "C", "H", "H", "H", "H", "H", "H", "As", "F", "F", "F", "F", "F", "F", "C", "C", "C", "O", "C", "N", "H", "H", "H", "H", "H", "H", "H", "H", "H", "H", "H", "C", "C", "C", "O", "C", "N", "H", "H", "H", "H", "H", "H", "H", "H", "H", "H", "H", "C", "C", "C", "O", "C", "N", "H", "H", "H", "H", "H", "H", "H", "H", "H", "H", "H"], "coordinates": [[0.5811, -0.1145, 0.2973], [-0.9602, -1.1594, -2.8496], [-2.0813, -0.3546, -2.4298], [-0.1461, -1.3522, -1.8010], [-1.4842, -2.4878, -3.4526], [-2.0218, -2.2452, -4.6901], [-0.4966, -3.3948, -3.6007], [-2.4674, -3.0522, -2.6955], [-3.0281, -0.0550, -3.4519], [-3.7687, 1.2395, -3.1416], [-3.1317, 2.1138, -3.0705], [-4.5286, 1.4872, -3.8858], [-4.3330, 1.0886, -2.2158], [-3.7329, -0.8876, -3.5185], [-2.6848, 0.0353, -4.4884], [-0.4319, -0.5972, -3.6353], [3.6322, 0.9152, 2.9746], [3.0305, 2.3835, 3.6398], [4.3944, 1.7164, 1.6395], [4.1260, -0.6177, 2.2567], [2.8188, -0.0190, 4.2117], [2.1082, 0.7625, 2.0126], [5.1045, 1.0100, 3.9015], [4.4715, 1.8642, -1.8392], [3.0531, 1.6612, -1.3044], [1.8589, 2.1600, -2.1799], [0.6731, 2.0547, -1.3816], [-0.3712, 2.8699, -1.8095], [2.8676, 0.1949, -0.9768], [4.5191, 2.8335, -2.3461], [4.8447, 1.0961, -2.5171], [5.1761, 1.9052, -1.0075], [2.8861, 2.2362, -0.3893], [1.7716, 1.5564, -3.0858], [2.0479, 3.2115, -2.3980], [-1.2741, 2.6333, -1.2523], [-0.5646, 2.7532, -2.8828], [-0.1798, 3.9491, -1.7096], [2.9108, -0.1913, -1.9261], [3.8115, -0.0319, -0.6597], [-4.1213, 0.5168, 1.3861], [-2.7115, 0.6639, 0.8520], [-1.9346, 1.6603, 1.7290], [-0.5527, 1.7264, 1.2810], [-0.0182, 2.9934, 1.5648], [-1.9720, -0.5850, 0.7686], [-4.1846, 0.3621, 2.4679], [-4.5963, -0.3199, 0.8716], [-4.7451, 1.4049, 1.2475], [-2.7785, 1.0500, -0.1673], [-1.8775, 1.3006, 2.7589], [-2.4237, 2.6328, 1.6820], [1.0433, 3.0138, 1.3296], [-0.1039, 3.1911, 2.6440], [-0.5543, 3.8417, 1.1234], [-2.4022, -1.1584, 0.0391], [-2.0897, -1.2201, 1.5597], [0.2870, -4.8332, 1.0287], [0.3187, -3.3109, 1.1271], [0.5937, -2.8613, 2.5834], [0.1712, -1.5211, 2.7311], [-0.0956, -1.0678, 4.0507], [1.3036, -2.7184, 0.2528], [0.0869, -5.1585, 0.0097], [-0.4701, -5.2621, 1.6893], [1.2462, -5.2045, 1.4038], [-0.7081, -2.9879, 0.9304], [1.6631, -2.9036, 2.8367], [0.0741, -3.4592, 3.3471], [-0.9304, -1.6641, 4.4350], [-0.3619, -0.0185, 3.9553], [0.7729, -1.1655, 4.7007], [2.0954, -3.3551, 0.1623], [0.9758, -2.7536, -0.7231]], "atomic_forces_ev_per_a": [[0.5, -1.2, -0.9], [1.2, 0.2, 1.5], [-0.2, 0.3, -0.8], [-0.4, -0.1, -0.1], [-0.2, 0.2, 0.0], [0.3, -0.7, 0.5], [-0.6, 0.3, 0.0], [0.6, 0.2, -0.5], [-0.9, 0.4, -0.4], [-0.6, -0.5, 0.5], [0.3, 0.0, 0.2], [0.1, -0.3, -0.2], [0.2, 0.3, 0.2], [-0.3, 0.1, 0.1], [1.0, -0.1, 0.3], [-0.3, -0.1, -0.6], [0.6, -1.7, 0.4], [0.0, 0.0, -0.2], [-0.4, 0.3, 0.0], [-0.1, 0.6, 0.1], [0.2, 0.5, -0.2], [0.4, 0.5, 0.1], [-0.7, 0.0, -0.3], [-0.3, 1.1, 0.0], [-1.0, -0.4, 0.1], [1.0, -0.5, 0.9], [0.8, -0.4, 0.2], [-0.6, 0.8, -0.9], [1.0, 1.1, -1.2], [0.2, -0.1, -0.1], [-0.4, -0.1, -0.1], [-0.1, 0.0, 0.1], [0.5, -0.1, 0.2], [-0.2, 0.1, -0.2], [-0.1, 0.1, -0.3], [0.1, -0.2, 0.0], [-0.1, -0.4, 0.1], [0.3, -0.1, 0.4], [-0.5, -0.5, 0.3], [-0.4, -0.4, 0.7], [-0.7, 0.1, 0.2], [0.1, 0.6, 0.8], [0.5, -1.0, -0.6], [-1.8, 1.1, 0.0], [0.5, 0.9, 1.4], [-0.6, -1.2, -0.4], [0.4, -0.4, 0.0], [-0.2, 0.0, 0.1], [0.2, 0.0, -0.4], [0.2, 0.0, 0.0], [-0.4, 0.1, 0.1], [0.2, 0.1, 0.0], [-0.1, -0.1, -0.2], [0.2, -0.2, 0.0], [0.0, -0.4, -0.6], [0.4, 0.4, -0.5], [0.1, 0.7, 0.5], [0.2, 0.0, 0.7], [-0.5, -0.8, 1.5], [0.3, -0.1, 0.4], [-0.1, 0.7, -0.8], [0.1, -0.6, -0.4], [0.2, -0.1, -1.4], [0.2, 0.0, 0.0], [-0.1, 0.1, -0.1], [0.0, -0.2, -0.4], [0.3, 0.5, -0.5], [0.0, -0.2, -0.2], [-0.1, -0.2, -0.4], [0.0, 0.2, 0.3], [0.0, 0.0, 0.2], [0.1, 0.0, 0.0], [0.2, 0.3, 0.7], [-0.5, 0.5, 0.2]], "charge": 0, "e_lumo_ev": 0.186, "homo_lumo_gap_ev": 8.83}


  • I actually think it was Oldest taking it's time. Standing up now and making towards the fish- no just not interested. Must have stuffed on previous fish. Actually, Eldest does not look to fat ! I hope it is building up the reserves it's going to need on migration.

  • Lynette D said:

    At present:

• Unrelated to this page: molecular data:
A cluster of 10 separate species, C34H86N2O18 in total. Source: the Open Molecules 2025 dataset; level of theory: ωB97M-V/def2-TZVPD.

```
140
Properties=species:S:1:pos:R:3
C -4.46127 4.73654 -2.22273
C -4.34842 3.82011 -1.03390
C -4.37232 4.64812 0.24124
C -5.61132 2.92118 -1.06523
C -5.48329 1.66592 -0.21674
C -4.19458 0.92389 -0.51471
C -2.93710 1.79466 -0.36464
C -2.74221 2.06422 1.10592
C -1.74542 1.05840 -0.94376
N -3.18165 2.96786 -1.19770
O -1.98058 3.80762 -1.19907
H -4.46855 4.23616 -3.19007
H -5.39092 5.31012 -2.14426
H -3.64585 5.46841 -2.23866
H -5.27152 5.26968 0.27050
H -4.29963 4.11773 1.18260
H -3.52472 5.34744 0.21200
H -6.40125 3.56586 -0.66649
H -5.89196 2.67621 -2.09147
H -5.58720 1.86606 0.85056
H -6.30787 0.98980 -0.47633
H -4.22790 0.54884 -1.54595
H -4.12907 0.07089 0.16967
H -2.10178 1.32577 1.57777
H -3.67230 2.22038 1.63963
H -2.21599 3.02290 1.22007
H -1.72867 0.04301 -0.54519
H -0.83594 1.60102 -0.66683
H -1.76560 1.03012 -2.03441
H -1.58495 3.68906 -2.07264
C -1.64881 -1.69303 -4.00014
C -1.09762 -3.11623 -3.95921
C 0.40820 -3.02597 -4.14708
C -1.27727 -3.65995 -2.55554
C -2.73466 -4.05412 -2.33083
C -3.12927 -5.11072 -3.38765
C -2.86438 -4.74049 -4.83658
C -2.68475 -6.02024 -5.60303
C -4.01321 -3.91697 -5.38333
N -1.59706 -4.02117 -4.94240
O -1.28745 -3.64103 -6.24273
H -0.79660 -1.04307 -3.74132
H -2.09996 -1.27007 -4.90348
H -2.35433 -1.36272 -3.21949
H 0.93490 -3.97937 -4.17962
H 0.67151 -2.55223 -5.10356
H 0.82746 -2.38846 -3.36364
H -0.69373 -4.57058 -2.35364
H -0.83022 -2.93011 -1.87269
H -2.88185 -4.51849 -1.35445
H -3.34433 -3.15292 -2.42998
H -4.22343 -5.08027 -3.27462
H -2.80089 -6.11859 -3.15829
H -3.55198 -6.68750 -5.50296
H -1.81878 -6.58990 -5.27664
H -2.60388 -5.78973 -6.66775
H -4.02445 -2.93368 -4.90843
H -4.97309 -4.39917 -5.17413
H -3.97485 -3.80576 -6.46909
H -1.79782 -2.82392 -6.44378
O 2.82274 4.61482 1.27839
C 1.47110 5.03868 1.36850
C 0.54759 3.84319 1.56703
O 0.81196 3.17399 2.80651
H 3.14838 4.22127 2.11005
H 1.29438 5.78001 2.16735
H 1.24435 5.51157 0.41058
H 0.67131 3.17481 0.71513
H -0.51185 4.14024 1.54391
H 0.32409 3.68076 3.47122
O -1.63516 -3.54467 1.14951
C -2.69381 -2.87154 1.79396
C -2.97197 -3.38782 3.16752
O -3.48503 -4.73957 3.00909
H -1.76893 -4.49721 1.25686
H -2.42245 -1.81035 1.78635
H -3.59788 -2.92580 1.17334
H -3.75548 -2.74275 3.58798
H -2.08537 -3.39564 3.79915
H -3.20756 -5.23902 3.78639
O 3.10633 -0.52067 1.06253
C 1.98498 0.38850 1.20051
C 0.72225 -0.38571 1.41803
O 0.55441 -1.31825 0.34225
H 2.80542 -1.17528 0.40807
H 2.20346 0.98295 2.08561
H 1.90720 1.02141 0.31253
H -0.09197 0.35435 1.40530
H 0.73767 -0.91132 2.37820
H -0.00393 -2.05503 0.63480
O 4.40513 -2.28945 -1.90551
C 4.54770 -3.20599 -0.81493
C 5.73727 -2.95514 0.05978
O 6.97331 -3.22093 -0.61563
H 5.00660 -2.53930 -2.61481
H 3.63727 -3.17797 -0.19041
H 4.50633 -4.24438 -1.17563
H 5.65275 -3.58378 0.95112
H 5.73537 -1.93205 0.46278
H 7.21779 -2.42958 -1.10640
O 8.45087 2.26245 1.46866


    ---- incidentally, I have been over on the Main Blog to look for any news of the webcam (there is none) and found that there have been new cases of 'arguments' on there - this is why you never find my comments on there any more, for some time now, except to occasionally thank the LG Team.


    I think I know what you mean Lindybird. I went on yesterday to try and stick up for us that tend to be sentimental about the family etc. and that we feel very priveledged to be able to view them even if we get daft over them.

[Between two parts of the page: calculated molecules]
DFT (ωB97M-V with the def2-TZVPD basis set) results for C30H58Br10F3NiO10S4 as an isolated structure.

Each line ends with the Löwdin charge.
Cartesian coordinates (Å):
Ni1 -0.986 2.914 4.018  1.015
C1 0.027 2.242 1.069  -0.396
O1 -0.706 1.096 0.630  -0.094
O2 -0.278 2.337 2.361  -0.185
C2 1.545 2.123 0.772  -0.551
F1 1.912 2.588 -0.419  0.167
F2 2.243 2.812 1.695  0.135
F3 1.933 0.841 0.857  0.111
C3 -0.517 0.582 -0.690  -0.244
C4 -1.444 -0.629 -0.820  -0.026
H1 -1.699 -0.674 -1.886  0.055
H2 -0.913 -1.550 -0.593  0.056
H3 -2.387 -0.505 -0.291  0.071
H4 0.515 0.253 -0.819  0.090
H5 -0.728 1.288 -1.502  0.076
H6 -0.373 3.050 0.429  0.154
C5 -4.960 1.727 0.466  -0.213
C6 -5.123 0.584 1.487  -0.190
C7 -3.969 0.782 2.464  -0.213
S1 -4.177 2.493 2.911  0.745
O3 -2.916 3.072 3.388  -0.377
O4 -5.362 2.726 3.678  -0.255
C8 -4.446 2.973 1.206  -0.198
H7 -5.928 1.973 0.034  0.089
H8 -4.278 1.405 -0.316  0.078
H9 -5.113 -0.383 0.984  0.123
H10 -6.092 0.589 1.987  0.124
H11 -2.978 0.844 1.992  0.098
H12 -3.886 0.047 3.261  0.100
H13 -3.451 3.162 0.789  0.084
H14 -4.953 3.931 1.124  0.120
C9 0.984 -1.343 6.033  -0.195
C10 1.588 -0.614 4.830  -0.190
C11 0.576 -0.873 3.721  -0.231
S2 -0.995 -0.483 4.507  0.763
O5 -2.101 -1.309 4.132  -0.267
O6 -1.069 0.988 4.507  -0.390
C12 -0.515 -0.938 6.180  -0.190
H15 1.424 -1.218 7.022  0.122
H16 0.962 -2.426 5.898  0.123
H17 2.530 -1.111 4.605  0.108
H18 1.733 0.441 5.053  0.124
H19 0.447 -1.922 3.456  0.087
H20 0.647 -0.174 2.887  0.084
H21 -1.102 -1.799 6.486  0.109
H22 -0.624 -0.126 6.895  0.108
C13 0.190 -5.275 -4.450  -0.201
C14 1.131 -6.019 -3.507  -0.211
C15 0.552 -6.111 -2.110  -0.204
S3 -0.834 -4.923 -2.029  0.664
O7 -0.549 -3.986 -0.962  -0.361
O8 -2.113 -5.560 -2.155  -0.306
C16 -0.474 -4.175 -3.617  -0.255
H23 -0.608 -5.886 -4.882  0.121
H24 0.697 -4.827 -5.303  0.119
H25 2.013 -5.365 -3.496  0.099
H26 1.544 -6.957 -3.875  0.121
H27 1.258 -6.024 -1.291  0.100
H28 -0.007 -7.040 -1.958  0.103
H29 0.225 -3.364 -3.393  0.069
H30 -1.367 -3.753 -4.069  0.011
C17 4.532 -0.106 2.705  -0.238
C18 5.325 -1.324 3.142  -0.248
C19 5.863 -2.041 1.922  -0.204
S4 6.548 -0.634 0.975  0.676
O9 6.382 -0.903 -0.428  -0.323
O10 7.813 -0.315 1.586  -0.313
C20 5.330 0.586 1.578  -0.199
H31 4.231 0.577 3.497  0.112
H32 3.632 -0.395 2.157  0.027
H33 4.842 -1.987 3.865  0.109
H34 6.191 -0.975 3.720  0.121
H35 5.037 -2.352 1.283  0.056
H36 6.683 -2.730 2.084  0.113
H37 4.710 0.717 0.690  0.079
H38 5.848 1.517 1.791  0.105
Br1 -2.203 7.194 -1.179  0.636
C21 -2.860 5.351 -1.373  -0.690
C22 -1.886 4.488 -2.124  -0.653
Br2 -2.787 2.898 -2.851  0.674
H39 -3.787 5.465 -1.923  0.049
H40 -3.020 5.060 -0.343  0.019
H41 -1.027 4.141 -1.558  0.040
H42 -1.501 5.052 -2.970  0.053
Br3 2.118 -2.481 1.112  0.755
C23 2.629 -2.944 -0.728  -0.644
C24 2.762 -1.715 -1.591  -0.676
Br4 3.493 -2.276 -3.288  0.666
H43 1.785 -3.553 -1.043  0.006
H44 3.498 -3.588 -0.651  0.059
H45 3.481 -1.046 -1.122  0.045
H46 1.814 -1.214 -1.755  0.029

    Each to their own and I have come to the conclusion that, apart from thanking the LG team when they post, I will stay on this site all the time.  Hope you understand what I'm getting at.  By the way Dors posted a note that it was back on.

    [/quote]Lindybird Lynette,Big Rab &all I'm begining to come round to your points of view.I've always used and enjoyed the main blog site,simply because I cannot log on very often and then mostly at night.However things seem to be getting abit heated so maybe Iwill give it a miss,apart from reading and commenting on the Garten blogs.Sad but so be it.Thanks for all your pics ,they are great wish Iwas as clever.

  • Odin gone now and Chick #2 has suddenly come to life, standing up and stretching wings

  • Cirrus you may be right. Up until yesterday #2 still had a bit of white stripe on it's back but I can't see that today so now I am really going to struggle to tell them apart LOL

  • Unknown said:

    I actually think it was Oldest taking it's time. Standing up now and making towards the fish- no just not interested. Must have stuffed on previous fish. Actually, Eldest does not look to fat ! I hope it is building up the reserves it's going to need on migration.

    Maybe Oldest is a girl,females are usually bigger and fatter I think

  • Jay Jay and any others now moved over to Dailly Update - hi to you and good mornging. If I've missed anybody out please forgive me and welcome. Loads of 'newcomers' recently, can't keep track but welcome all.